5 Tips to Get the Most Out of Training Camps

Materials data that have nothing to do with the text >
No. 1
## Co3CuH56S4O44 (PBE with a Hubbard U)

Data for crystalline Co3CuH56S4O44 at its relaxed geometry.

The formation energy is -1.368 eV/atom. Its MP2020-corrected energy is -5.531 eV per atom. The electronic total energy is -562.3 eV/cell.

CIF file:
```
data_Co3CuH56S4O44
_symmetry_space_group_name_H-M 'P -1'
_symmetry_Int_Tables_number 2
_cell_length_a 6.509
_cell_length_b 10.983
_cell_length_c 14.138
_cell_angle_alpha 105.50
_cell_angle_beta 90.46
_cell_angle_gamma 90.43
loop_
_symmetry_equiv_pos_as_xyz
'x,y,z'
'-x,-y,-z'
loop_
_atom_site_label
_atom_site_fract_x
_atom_site_fract_y
_atom_site_fract_z
Co1 0.000 0.000 0.000
Co2 0.000 0.500 0.500
Co3 0.500 0.000 0.500
Cu1 0.500 0.500 0.000
H1 0.011 0.804 0.078
H2 0.026 0.257 0.036
H3 0.046 0.701 0.656
H4 0.063 0.356 0.624
H5 0.085 0.038 0.202
H6 0.085 0.639 0.820
H7 0.111 0.435 0.150
H8 0.114 0.122 0.520
H9 0.121 0.035 0.411
H10 0.158 0.511 0.911
H11 0.185 0.297 0.383
H12 0.238 0.132 0.166
H13 0.240 0.369 0.873
H14 0.243 0.463 0.647
H15 0.253 0.633 0.176
H16 0.255 0.960 0.646
H17 0.270 0.868 0.871
H18 0.312 0.796 0.383
H19 0.356 0.009 0.911
H20 0.377 0.534 0.412
H21 0.382 0.920 0.149
H22 0.386 0.625 0.520
H23 0.402 0.539 0.214
H24 0.413 0.144 0.821
H25 0.439 0.859 0.626
H26 0.457 0.200 0.656
H27 0.475 0.749 0.036
H28 0.480 0.312 0.078
S1 0.035 0.174 0.727
S2 0.466 0.676 0.727
O1 0.018 0.612 0.874
O2 0.030 0.032 0.703
O3 0.033 0.787 0.362
O4 0.041 0.315 0.403
O5 0.053 0.179 0.981
O6 0.107 0.439 0.616
O7 0.107 0.775 0.190
O8 0.164 0.050 0.145
O9 0.204 0.069 0.471
O10 0.234 0.442 0.932
O11 0.249 0.222 0.755
O12 0.252 0.721 0.754
O13 0.274 0.941 0.929
O14 0.295 0.569 0.471
O15 0.316 0.548 0.158
O16 0.392 0.273 0.188
O17 0.394 0.941 0.618
O18 0.450 0.671 0.980
O19 0.456 0.817 0.403
O20 0.465 0.282 0.360
O21 0.469 0.533 0.700
O22 0.488 0.121 0.875
```

No. 2
## W3O8 (PBE with a Hubbard U)

Data for crystalline W3O8 at its relaxed geometry.

The formation energy is -2.140 eV/atom. Its MP2020-corrected energy is -9.272 eV per atom. Its energy above the most stable polymorph in this dataset is 0.0 kJ/mol of atoms. The electronic total energy is -332.7 eV/cell.

CIF file:
```
data_W3O8
_symmetry_space_group_name_H-M 'C 1 m 1'
_symmetry_Int_Tables_number 8
_cell_length_a 12.519
_cell_length_b 7.739
_cell_length_c 6.260
_cell_angle_alpha 90.00
_cell_angle_beta 117.43
_cell_angle_gamma 90.00
loop_
_symmetry_equiv_pos_as_xyz
'x,y,z'
'x,-y,z'
'x+1/2,y+1/2,z'
'x+1/2,-y+1/2,z'
loop_
_atom_site_label
_atom_site_fract_x
_atom_site_fract_y
_atom_site_fract_z
W1 0.000 0.000 0.000
W2 0.000 0.500 0.002
W3 0.183 0.500 0.634
W4 0.184 0.000 0.634
W5 0.343 0.000 0.314
W6 0.343 0.500 0.316
O1 0.009 0.500 0.346
O2 0.011 0.000 0.350
O3 0.094 0.000 0.814
O4 0.095 0.500 0.811
O5 0.173 0.500 0.278
O6 0.174 0.000 0.279
O7 0.188 0.242 0.625
O8 0.325 0.000 0.979
O9 0.328 0.500 0.984
O10 0.343 0.250 0.316
O11 0.361 0.500 0.655
O12 0.362 0.000 0.655
O13 0.499 0.257 0.004
```

No. 3
## U2NiP2O22 (PBE with a Hubbard U)
Training camp season is nearly upon us! While many athletes heading off on training camps pay a lot of attention to the training schedule and packing essential gear, nutrition is often overlooked – but can be the difference in your results!
Since what you eat and drink has a huge role to play in the success of your training camp, here are a few tips to make sure that you get the most out of your hard work.
Training camps are not the time to focus on weight loss
The priority for most endurance sport training camps is to maximise adaptations to improve your race day performance. Unfortunately, too many athletes fall in a heap after training camps; battling through weeks of poor training and racing as a result of trying to train hard over the camp and also trying to use the higher training load to deliberately lose weight. This doesn’t work!
To perform at your peak during and after training camps, it’s important to optimally fuel and recover for ALL training sessions. Skimping on food in order to lose weight will do nothing more than leave you in a fatigued slump on the side of the road – not exactly the desired outcome of a training camp!
Eat & plan more!
**These crystal structures were left in the piece by mistake:**
********
Entry 1:
Ba3Y5Cu3O15 (PBE-GGA, optimized geometry); space-group type = No. 14; raw total energy = -187.04 eV per formula unit; magnetization = 0.00 μB per formula unit
1.0
-9.308 7.332 1.737
-4.559 -5.822 0.148
-2.396 -7.058 16.956
O Y Cu Ba
60 20 12 12
Direct
0.070 0.520 0.826
0.930 0.668 0.993
0.264 0.813 0.336
0.232 0.647 0.991
0.268 0.647 0.491
0.731 0.996 0.835
0.232 0.467 0.175
0.430 0.520 0.326
0.732 0.533 0.325
0.901 0.505 0.586
0.401 0.495 0.914
0.570 0.668 0.493
0.736 0.187 0.664
0.941 0.352 0.322
0.232 0.169 0.502
0.768 0.831 0.498
0.439 0.836 0.987
0.559 0.352 0.822
0.428 0.007 0.839
0.237 0.324 0.329
0.072 0.007 0.339
0.268 0.169 0.002
0.441 0.648 0.178
0.071 0.177 0.162
0.059 0.648 0.678
0.939 0.164 0.513
0.596 0.843 0.748
0.928 0.993 0.661
0.429 0.177 0.662
0.570 0.480 0.674
0.096 0.157 0.752
0.930 0.480 0.174
0.099 0.495 0.414
0.571 0.823 0.338
0.599 0.505 0.086
0.763 0.676 0.671
0.737 0.676 0.171
0.561 0.164 0.013
0.263 0.324 0.829
0.768 0.353 0.009
0.764 0.187 0.164
0.430 0.332 0.507
0.732 0.353 0.509
0.269 0.004 0.165
0.768 0.533 0.825
0.572 0.993 0.161
0.070 0.332 0.007
0.929 0.823 0.838
0.904 0.843 0.248
0.404 0.157 0.252
0.919 0.166 0.916
0.769 0.996 0.335
0.081 0.834 0.084
0.268 0.467 0.675
0.236 0.813 0.836
0.231 0.004 0.665
0.732 0.831 0.998
0.581 0.166 0.416
0.061 0.836 0.487
0.419 0.834 0.584
0.287 0.470 0.416
0.412 0.547 0.583
0.912 0.453 0.917
0.440 0.193 0.921
0.575 0.136 0.755
0.075 0.864 0.745
0.285 0.141 0.750
0.425 0.864 0.245
0.560 0.807 0.079
0.088 0.547 0.083
0.787 0.530 0.084
0.713 0.530 0.584
0.215 0.141 0.250
0.940 0.807 0.579
0.213 0.470 0.916
0.060 0.193 0.421
0.715 0.859 0.250
0.588 0.453 0.417
0.785 0.859 0.750
0.925 0.136 0.255
0.665 0.864 0.416
0.660 0.520 0.752
0.335 0.136 0.584
0.835 0.864 0.916
0.340 0.480 0.248
0.659 0.192 0.083
0.165 0.136 0.084
0.160 0.480 0.748
0.840 0.520 0.252
0.159 0.808 0.417
0.341 0.808 0.917
0.841 0.192 0.583
0.604 0.616 0.917
0.896 0.616 0.417
0.108 0.008 0.925
0.901 0.306 0.758
0.608 0.992 0.575
0.401 0.694 0.742
0.396 0.384 0.083
0.392 0.008 0.425
0.099 0.694 0.242
0.104 0.384 0.583
0.599 0.306 0.258
0.892 0.992 0.075

=====

Entry 2:
Ba10Y5Cu15O34 (PBE-GGA, optimized geometry); space-group type = No. 2; energy above the lowest structure with this stoichiometry = 0 meV per atom; raw total energy = -398.11 eV per formula unit; magnetization = 0.64 μB per formula unit
1.0
3.219 -5.223 -6.102
-0.710 6.335 -6.043
10.629 2.234 6.247
O Y Ba Cu
34 5 10 15
Direct
0.525 0.549 0.622
0.938 0.375 0.152
0.824 0.648 0.620
0.725 0.950 0.622
0.876 0.251 0.377
0.176 0.352 0.380
0.024 0.048 0.620
0.877 0.253 0.848
0.275 0.050 0.378
0.776 0.552 0.380
0.667 0.836 0.840
0.224 0.448 0.620
0.468 0.436 0.840
0.475 0.451 0.378
0.123 0.747 0.152
0.532 0.564 0.160
0.576 0.152 0.380
0.976 0.952 0.380
0.124 0.749 0.623
0.062 0.625 0.848
0.924 0.348 0.621
0.376 0.752 0.380
0.206 0.912 0.000
0.794 0.088 0.000
0.600 0.693 0.000
0.333 0.164 0.160
0.324 0.149 0.622
0.269 0.037 0.840
0.624 0.248 0.620
********
Following on from tip one above, the typical training load of training camps is significantly higher compared to more usual training weeks. This means that you need to be adjusting your food intake to match the increased fuel demands. Carbohydrates play a big role here, as they’re the main fuel for your muscles during moderate-high intensity exercise. Protein is also essential for helping muscle recovery and repair after sessions.
Because the training load at camp can be so intense, having enough energy leftover to think about and prepare food at the end of the day can be a stretch. So, instead of winging it each day, spend some time before you head away to come up with a plan of attack for your food. Where possible, take meals and snacks that you can prepare in advance – bircher muesli makes a great fuelling or recovery option, homemade energy bars or banana loaf can be easily wrapped in foil to take out on the bike, and carb-rich salads can be a useful addition to your lunch or dinner. If the high training load kills your appetite, smoothies and milkshakes can be a great option.
[Data records, kept here for reference]
____________
Here is an optimized crystal structure of CsCrI2 from the Materials Project database. Energies are from PBE-GGA.

Summary:
symmetry	No. 63
M_tot	1.2499	μB/atom
formation enthalpy at 0 K	-750	meV/atom
uncorrected energy	-31.68	eV for the cell shown

abc: 8.1109 8.1109 6.5150
angles: 90.00 90.00 114.72
With the nearest neighbours (Å) after each atom.
Sites, in units of the cell vectors:
Cs: 0.1596 0.8404 0.7500  8 I 3.94-4.17
Cs: 0.8404 0.1596 0.2500  8 I 3.94-4.17
Cr: 0.5000 0.5000 0.0000  4 I 2.93, 2 Cr 3.26
Cr: 0.5000 0.5000 0.5000  4 I 2.93, 2 Cr 3.26
I: 0.1702 0.3588 0.7500  2 Cr 2.93
I: 0.3588 0.1702 0.2500  2 Cr 2.93
I: 0.6412 0.8298 0.7500  2 Cr 2.93
I: 0.8298 0.6412 0.2500  2 Cr 2.93

~~~~~

This record from the Materials Project database describes crystalline TaVN2 at its relaxed geometry. The functional is PBE.

Lattice parameters (Å, degrees): 3.050 3.050 4.296 90.00 90.00 90.00
Atoms (fractional coordinates):
Ta1 0.000 0.000 0.000
V1 0.500 0.500 0.500
N1 0.000 0.000 0.500
N2 0.500 0.500 0.000

Results
The value obtained for the formation energy is -1.12 eV/atom. For the total DFT energy (no corrections), the calculation gives -10.343 eV per atom. As for the space group: P4/mmm (123).

This record from the Materials Project database describes crystalline Ba3Ta2S8 at its relaxed geometry. The functional is PBE.

Lattice parameters (Å, degrees): 12.156 6.939 12.749 90.00 109.19 90.00
Atoms (fractional coordinates):
Ba1 0.000 0.000 0.000
Ba2 0.095 0.000 0.365
Ba3 0.222 0.500 0.656
Ba4 0.317 0.500 0.036
Ba5 0.453 0.000 0.309
Ba6 0.547 0.000 0.691
Ba7 0.683 0.500 0.964
Ba8 0.778 0.500 0.344
Ba9 0.905 0.000 0.635
Ta1 0.230 0.000 0.828
Ta2 0.234 0.500 0.324
Ta3 0.500 0.000 0.000
Ta4 0.500 0.500 0.500
Ta5 0.766 0.500 0.676
Ta6 0.770 0.000 0.172
S1 0.080 0.500 0.396
S2 0.117 0.256 0.847
S3 0.117 0.744 0.847
S4 0.175 0.000 0.632
S5 0.187 0.248 0.199
S6 0.187 0.752 0.199
S7 0.322 0.000 0.046
S8 0.348 0.255 0.484
S9 0.348 0.745 0.484
S10 0.408 0.241 0.855
S11 0.408 0.759 0.855
S12 0.443 0.500 0.299
S13 0.557 0.500 0.701
S14 0.592 0.241 0.145
S15 0.592 0.759 0.145
S16 0.652 0.255 0.516
S17 0.652 0.745 0.516
S18 0.678 0.000 0.954
S19 0.813 0.248 0.801
S20 0.813 0.752 0.801
S21 0.825 0.000 0.368
S22 0.883 0.256 0.153
S23 0.883 0.744 0.153
S24 0.920 0.500 0.604

Results
The value obtained for the formation energy is -1.84 eV/atom. For the total DFT energy (no corrections), the calculation gives -6.348 eV per atom. As for the space group: P2/m (10).

~~~~~

Version a
Density functional theory data (PBE+U) for a relaxed Li2MnO2 crystal.

Structure (CIF):
```
data_Li2MnO2
_chemical_formula_sum 'Li4 Mn2 O4'
_space_group_name_H-M_alt 'P 1'
_space_group_IT_number 1
_space_group_name_Hall 'P 1'
_cell_length_a 4.741
_cell_length_b 4.741
_cell_length_c 5.564
_cell_angle_alpha 85.63
_cell_angle_beta 64.78
_cell_angle_gamma 79.68
loop_
_atom_site_label
_atom_site_type_symbol
_atom_site_fract_x
_atom_site_fract_y
_atom_site_fract_z
_atom_site_occupancy
____________
[The piece goes on]
Prevent dehydration
It’s well known that dehydration can affect performance. Even a moderate sweat rate of 800ml/hr can add up to be substantial total fluid loss over a big training day – in this example, losses of ~3.2-4.8 litres of sweat over 4-6 hours of training. Failing to hydrate before and rehydrate effectively after sessions over multiple days of camp can really impact your training.
The best way to avoid chronic dehydration is to be proactive with your fluid intake from day one of camp. To track how well you’re rehydrating, weigh yourself first thing each morning – after going to the toilet and before eating. If you are rehydrating (and refuelling) appropriately, your day-to-day first morning weight shouldn’t vary by much more than ~1-2kg.
Support your body’s recovery with antioxidant-rich foods
Training camps can increase oxidative stress on the body – that’s a fancy way of saying that your body needs extra antioxidant-rich foods to support recovery when you’re in periods of high training. Load up on fresh fruit – especially berries, and a variety of different coloured vegetables to boost your antioxidant intake over camp.
Importantly, research has shown that antioxidant supplements in tablet/capsule form do not have the same benefits as antioxidant-rich foods. In fact, antioxidant supplements can actually have a negative effect on recovery and adaptations so load up on fresh fruit and veggies rather than reaching for the supplement container.
Eat more iron-rich foods at altitude
If your training camp is at high altitude, be sure to boost your intake of iron-rich foods before and during the camp. At altitude more haemoglobin (the part of red blood cells that carries oxygen around the body) is produced by the body – iron is essential for this process.
Red meat is your richest source of iron but chicken, pork and other animal meats are also good options. Plant foods such as dark green leafy vegetables (e.g. spinach, silverbeet, kale), lentils, nuts and dried fruit are also good iron boosting foods to include. Importantly, iron supplements should not be taken unless prescribed by a GP or Sports Doctor as excess iron intake can have harmful health effects.
So if you have a training camp coming up, get in touch with an Accredited Sports Dietitian to put together an individual plan that will have you improving—rather than hurting—from your hard work.